This is a question from as long as the world was around but I’m entitled to ask it as well: “If God is really there, and everything is for the best, why am I suffering so much?” Obviously, there are countless people suffering in this world who can ask this question as well- A mother loses a child to illness, a person with cancer, a man killed in combat or a terrorist attacks, the amount of suffering in this world is too big for any post and there are probably more diseases than people living in New York City. I personally have suffered none of these things. No one in my family is ill, I’m in perfect shape, but all my feelings are gone. I feel like an empty blob of fat most of the time that is a burden on society and my family and friends. They say it’s not true, but those are my feelings and I’m entitled to at least those feelings!!! Why would God do something like this? So ultimately, when I’m better I’ll have a better understanding? What if I don’t get better??? In addition, I understand already!!! I get the freaking point!!! Hello up there… ANSWER ME…Yet there’s only silence. I recently saw on the news a story about a kid who had complained about bullying and killed himself. I know firsthand what it’s like to be bullied and how it could leave you feeling hopeless. I’m not going to kill myself. Let me repeat that. I’m not going to kill myself. However, I do not understand how God would want a good person, with a good heart, to be debilitated with a mental disease that makes him miserable no matter what medicines are put into his brain. I think I speak for most people with mental illnesses. I’d be fine getting sick with cancer at fifty, when the important things in my life are accomplished and I have a family of my own and the white picket fence. However, I’m still only twenty four. There’s so much more for me to accomplish. In addition, I ‘m not saying I won’t be able to do it despite my mental disease. But I still don’t understand one thing: WHY????? If anyone can answer that, feel free. However, I don’t believe there is an answer. Does that mean there is no God? I don’t know. Maybe. As the High Holiday’s approach where we Jews ask for forgiveness, I wonder what I should be asking forgiveness for this year? Maybe God should be asking forgiveness from me!!! For giving me, this crappy life where I feel like a zombie.

### These materials data were left in the page by mistake
/*
BaIn2Ru: optimized geometry, GGA-PBE.

* D(E_F): 1.095 states/eV per atom
* calculated formation energy: 1.151 eV per formula unit
* size of the total moment: 0.00 μB per cell

```
data_BaIn2Ru
_chemical_formula_sum 'Ba1 In2 Ru1'
_cell_length_a 5.4754
_cell_length_b 5.4754
_cell_length_c 5.4754
_cell_angle_alpha 127.20
_cell_angle_beta 127.20
_cell_angle_gamma 77.93
_symmetry_space_group_name_H-M 'P 1'
_symmetry_Int_Tables_number 1
loop_
_symmetry_equiv_pos_as_xyz
'x,y,z'
loop_
_atom_site_label
_atom_site_type_symbol
_atom_site_fract_x
_atom_site_fract_y
_atom_site_fract_z
Ba1 Ba 0.0000 0.0000 0.0000
In1 In 0.2500 0.7500 0.5000
In2 In 0.7500 0.2500 0.5000
Ru1 Ru 0.5000 0.5000 0.0000
```
*/
I don’t want anyone to get the wrong idea. I am not an atheist looking for an excuse to blast God, nor am I a pompous fool who thinks he hasn’t sinned. I’m a simple, normal, young guy asking God why he did this to me. And to those people who say you are responsible for you own life and everyone has problems, try living one day in my life. You’ll be off the bridge before breakfast!!!

-- What comes next are records of crystals, not part of the article --
=====
## AgP2I (GGA-PBE)

Data for a relaxed AgP2I crystal.

Computed properties:
Excess energy over the best structure of this formula in the dataset in meV per atom: 0
Uncorrected formation energy in eV per formula unit: 3.2

Geometry as POSCAR:
```
AgP2I
1.0
-2.935 2.935 6.452
2.935 -2.935 6.452
2.935 2.935 -6.452
Ag P I
2 4 2
Cartesian
0.000 0.000 0.000
0.000 2.935 3.226
4.403 1.107 -1.613
1.107 1.468 1.613
-1.468 1.828 4.839
1.828 1.468 8.065
2.935 0.000 3.226
0.000 0.000 6.452
```

---

## AlFeAs2 (GGA-PBE)

Data for a relaxed AlFeAs2 crystal.

Computed properties:
E_tot in eV/atom: -5.32

Geometry as POSCAR:
```
AlFeAs2
1.0
3.731 0.000 0.000
0.000 3.941 0.000
-0.047 0.000 5.211
Al Fe As
1 1 2
Cartesian
0.000 0.000 0.000
0.016 1.971 1.574
0.020 0.000 2.692
1.880 1.971 0.199
```

---

## Tb12CeDy7 (GGA-PBE)

Data for a relaxed Tb12CeDy7 crystal.

Computed properties:
Excess energy over the best structure of this formula in the dataset in meV per atom: 537

Geometry as POSCAR:
```
Tb12CeDy7
1.0
-5.663 5.663 5.663
5.663 -5.663 5.663
5.663 5.663 -5.663
Tb Ce Dy
12 1 7
Cartesian
5.663 -2.764 2.776
2.899 2.887 0.000
8.427 2.887 0.000
2.776 5.663 -2.764
2.887 0.000 2.899
5.663 2.764 2.776
0.000 2.899 2.887
2.776 5.663 2.764
2.887 0.000 8.427
-2.764 2.776 5.663
2.764 2.776 5.663
0.000 8.427 2.887
0.000 0.000 0.000
2.832 2.832 -2.832
2.832 -2.832 2.832
5.663 0.000 0.000
-2.832 2.832 2.832
0.000 5.663 0.000
0.000 0.000 5.663
2.832 2.832 2.832
```

---

## AcScNi2H8 (GGA-PBE)

Data for a relaxed AcScNi2H8 crystal.

Computed properties:
E_tot in eV/atom: -4.34

Geometry as POSCAR:
```
AcScNi2H8
1.0
2.312 1.335 6.508
-2.312 1.335 6.508
0.000 -2.669 6.508
Ac Sc Ni H
1 1 2 8
Cartesian
0.000 0.000 0.000
0.000 0.000 9.762
0.000 0.000 4.574
0.000 0.000 14.950
-0.749 -1.478 8.596
-1.655 -0.090 10.928
0.000 0.000 6.162
-0.906 1.388 8.596
0.906 -1.388 10.928
0.000 0.000 13.362
1.655 0.090 8.596
0.749 1.478 10.928
```

---

## MnFe2Si (GGA-PBE)

Data for a relaxed MnFe2Si crystal.

Computed properties:
Uncorrected formation energy in eV per formula unit: -1.0

Geometry as POSCAR:
```
MnFe2Si
1.0
3.566 0.000 0.000
0.000 3.566 0.000
0.000 0.000 3.606
Mn Fe Si
1 2 1
Cartesian
0.000 0.000 0.000
0.000 1.783 1.803
1.783 0.000 1.803
1.783 1.783 0.000
```

---

## Ca2Mg3Tl4 (GGA-PBE)

Data for a relaxed Ca2Mg3Tl4 crystal.

Computed properties:
E_tot in eV/atom: -2.22

Geometry as POSCAR:
```
Ca2Mg3Tl4
1.0
3.321 -8.767 0.000
3.321 8.767 0.000
0.000 0.000 8.481
Ca Mg Tl
4 6 8
Cartesian
3.321 6.927 7.674
3.321 1.840 3.433
3.321 -1.840 5.048
3.321 -6.927 0.807
0.000 0.000 4.240
1.661 4.023 6.361
1.661 -4.023 2.120
3.321 0.000 0.000
4.982 4.023 6.361
4.982 -4.023 2.120
3.321 5.723 4.460
1.661 1.019 6.361
1.661 -1.019 2.120
3.321 3.044 0.219
3.321 -3.044 8.262
4.982 1.019 6.361
4.982 -1.019 2.120
3.321 -5.723 4.021
```

---

Computed calculated volume, in the same sequence as the records: 27.80; 19.15; 36.33; 10.04; 11.46; 27.44 A^3/atom.

----------
=====
Here’s dp in the news, still not sure how to get a video in the blog…